Exercise >
What is needed: find "-0.58 -9.28" and "-1.74 5.82" in the block further down, and write out these two lines and those between.

Listing >
(1)
C45H95N5O5 | ωB97M-V with the def2-TZVPD basis set

Values from the calculation:
- HOMO energy (eV) = -7.978
- SMILES = CC1(C)CCCC(C)(C)N1O.CC1(C)CCCC(C)(C)N1O.CC1(C)CCCC(C)(C)N1O.CC1(C)CCCC(C)(C)N1O.CC1(C)CCCC(C)(C)N1O
- orbital gap (eV) = 8.52
- net charge = 0
- relative energy (zero: lowest compared OMol25 entry of this formula, charge and spin) (eV) = 0.3882

The geometry in XYZ format:
```
150
C45H95N5O5 (ωB97M-V with the def2-TZVPD basis set)
C 1.76 -10.01 1.81
C 0.67 -9.16 1.16
C 0.40 -9.78 -0.25
C -0.58 -9.28 2.04
C -1.59 -8.19 1.74
C -0.95 -6.81 1.85
C 0.21 -6.67 0.88
C -0.22 -6.45 -0.57
C 0.97 -5.41 1.35
N 1.13 -7.79 1.07
O 2.31 -7.66 0.31
H 2.61 -10.24 1.16
H 2.15 -9.52 2.72
H 1.37 -10.96 2.18
H 0.69 -10.83 -0.28
H -0.64 -9.63 -0.52
H 1.06 -9.29 -0.97
H -0.98 -10.26 1.77
H -0.33 -9.30 3.10
H -1.94 -8.35 0.71
H -2.48 -8.27 2.37
H -0.54 -6.72 2.86
H -1.76 -6.10 1.66
H 0.59 -5.93 -1.10
H -1.08 -5.78 -0.62
H -0.38 -7.38 -1.11
H 1.77 -5.09 0.67
H 1.48 -5.60 2.30
H 0.27 -4.58 1.49
H 2.97 -7.50 0.99
C -0.10 3.54 0.35
C -1.19 4.36 1.08
C -1.26 5.81 0.59
C -2.58 3.75 0.87
C -2.77 2.39 1.54
C -2.56 2.54 3.05
C -1.21 3.24 3.39
C -1.34 3.70 4.84
C -0.08 2.21 3.28
N -1.01 4.41 2.54
O 0.24 5.02 2.86
H 0.15 4.00 -0.61
H 0.76 3.57 1.02
H -0.36 2.50 0.18
H -1.74 5.82 -0.39
H -1.91 6.33 1.29
H -0.28 6.27 0.51
H -3.27 4.47 1.31
H -2.79 3.63 -0.19
H -3.80 2.09 1.34
H -2.11 1.60 1.17
H -2.40 1.54 3.45
H -3.40 3.06 3.50
H -0.41 4.03 5.31
H -1.82 2.91 5.44
H -2.00 4.57 4.89
H -0.18 1.46 4.08
H 0.91 2.64 3.46
H -0.06 1.66 2.34
H -0.03 5.82 3.32
C 6.24 2.87 3.98
C 4.73 2.97 3.76
C 4.34 4.45 3.71
C 4.33 2.37 2.41
C 4.45 0.84 2.39
C 3.62 0.27 3.54
C 3.93 0.85 4.91
C 2.83 0.41 5.86
C 5.28 0.26 5.42
N 3.90 2.29 4.76
O 3.66 3.00 5.96
H 6.79 3.60 3.38
H 6.45 3.17 5.01
H 6.63 1.87 3.82
H 4.25 4.89 4.70
H 5.11 5.03 3.21
H 3.38 4.60 3.21
H 3.31 2.62 2.10
H 5.02 2.81 1.68
H 4.00 0.49 1.45
H 5.50 0.55 2.45
H 3.68 -0.82 3.50
H 2.56 0.41 3.25
H 3.00 0.62 6.92
H 2.69 -0.67 5.82
H 1.86 0.89 5.68
H 5.09 -0.52 6.16
H 5.92 1.04 5.82
H 5.82 -0.24 4.61
H 2.74 3.24 5.86
C -3.34 -1.34 -1.17
C -1.95 -1.68 -1.73
C -1.89 -3.21 -1.97
C -1.79 -1.00 -3.08
C -0.33 -0.86 -3.52
C 0.45 -0.21 -2.40
C 0.48 -1.02 -1.12
C 1.31 -2.31 -1.25
C 1.08 -0.15 -0.02
N -0.93 -1.23 -0.79
O -1.09 -1.77 0.50
H -4.07 -2.02 -1.61
H -3.40 -1.60 -0.12
H -3.59 -0.29 -1.32
H -2.76 -3.56 -2.52
H -1.01 -3.52 -2.54
H -1.83 -3.72 -1.00
H -2.25 -1.57 -3.90
H -2.33 -0.05 -3.18
H 0.02 -1.88 -3.73
H -0.17 -0.33 -4.46
H -0.11 0.69 -2.09
H 1.38 0.29 -2.71
H 2.36 -2.15 -0.99
H 1.21 -2.71 -2.27
H 0.87 -3.11 -0.65
H 1.81 0.60 -0.32
H 1.53 -0.77 0.76
H 0.37 0.42 0.58
H -0.97 -2.73 0.44
C -1.27 5.64 -7.33
C -1.89 4.40 -6.71
C -2.42 3.52 -7.88
C -0.85 3.62 -5.93
C -1.40 2.54 -4.99
C -2.47 3.18 -4.11
C -3.60 3.81 -4.92
C -4.43 2.77 -5.67
C -4.50 4.56 -3.94
N -2.94 4.83 -5.78
O -3.89 5.62 -6.48
H -0.51 5.34 -8.06
H -1.99 6.29 -7.82
H -0.78 6.26 -6.57
H -2.04 3.81 -8.86
H -2.16 2.47 -7.72
H -3.51 3.53 -7.94
H -0.07 3.20 -6.56
H -0.34 4.29 -5.22
H -1.83 1.64 -5.44
H -0.56 2.22 -4.37
H -1.98 4.01 -3.58
H -2.83 2.51 -3.33
H -3.85 2.00 -6.17
H -5.11 3.25 -6.37
H -5.08 2.24 -4.97
H -5.19 3.91 -3.40
H -5.13 5.29 -4.45
H -3.86 5.13 -3.26
H -4.05 6.35 -5.88
```

(2)
C46H102BN7O3 | ωB97M-V with the def2-TZVPD basis set

Values from the calculation:
- 2S+1 = 2
- HOMO energy (spin up / spin down) (eV) = -22.356 / -22.356
- expectation value of S² = 0.7751
- orbital gap (spin up / spin down) (eV) = 4.63 / 1.12
- net charge = +7

The geometry in XYZ format:
```
159
C46H102BN7O3 (ωB97M-V with the def2-TZVPD basis set)
B 0.31 0.70 0.51
H 1.22 0.56 -0.06
H -0.40 1.20 -0.12
H -0.02 -0.25 0.90
H 0.57 1.32 1.35
C 0.83 -2.73 0.12
C 0.89 -3.57 -1.18
C -0.26 -4.62 -1.29
C -0.42 -5.12 -2.72
N -1.52 -6.29 -2.92
C -0.96 -7.64 -2.41
C -0.85 -8.55 -3.63
C -0.79 -7.64 -4.90
C -1.74 -6.54 -4.44
C -2.83 -5.96 -2.18
C -3.52 -4.65 -2.67
C -4.91 -4.58 -2.07
H -0.12 -2.20 0.12
H 1.63 -1.99 0.12
H 0.91 -3.22 1.09
H 1.89 -4.00 -1.28

Written answer >
C -0.58 -9.28 2.04
C -1.59 -8.19 1.74
C -0.95 -6.81 1.85
C 0.21 -6.67 0.88
C -0.22 -6.45 -0.57
C 0.97 -5.41 1.35
N 1.13 -7.79 1.07
O 2.31 -7.66 0.31
H 2.61 -10.24 1.16
H 2.15 -9.52 2.72
H 1.37 -10.96 2.18
H 0.69 -10.83 -0.28
H -0.64 -9.63 -0.52
H 1.06 -9.29 -0.97
H -0.98 -10.26 1.77
H -0.33 -9.30 3.10
H -1.94 -8.35 0.71
H -2.48 -8.27 2.37
H -0.54 -6.72 2.86
H -1.76 -6.10 1.66
H 0.59 -5.93 -1.10
H -1.08 -5.78 -0.62
H -0.38 -7.38 -1.11
H 1.77 -5.09 0.67
H 1.48 -5.60 2.30
H 0.27 -4.58 1.49
H 2.97 -7.50 0.99
C -0.10 3.54 0.35
C -1.19 4.36 1.08
C -1.26 5.81 0.59
C -2.58 3.75 0.87
C -2.77 2.39 1.54
C -2.56 2.54 3.05
C -1.21 3.24 3.39
C -1.34 3.70 4.84
C -0.08 2.21 3.28
N -1.01 4.41 2.54
O 0.24 5.02 2.86
H 0.15 4.00 -0.61
H 0.76 3.57 1.02
H -0.36 2.50 0.18
H -1.74 5.82 -0.39